_Job_
The reader should quote the lines further below up to the one that holds "-1.0290 3.8774", that line included.
_Excerpt_
=====
! Na5Hf2Ta2Si5PO24 (PBE, relaxed); values from VASP
! - Formation energy from the elements: -3169 meV per atom
! - Symmetry: P1 (1)
! - Raw total energy: -7.91 eV per atom
&SYSTEM
  ibrav = 0, nat = 117, ntyp = 6
/
ATOMIC_SPECIES
Na 22.99 Na.upf
Hf 178.49 Hf.upf
Ta 180.95 Ta.upf
Si 28.09 Si.upf
P 30.97 P.upf
O 16.00 O.upf
ATOMIC_POSITIONS angstrom
Na 5.7670 0.0335 5.6998
Na 1.6652 2.8188 5.6678
Na 6.1290 4.9524 5.6672
Na 7.3642 2.8178 17.0703
Na -2.8630 5.4532 13.2250
Na 1.6175 7.5269 13.2232
Na 5.7423 5.2018 20.9304
Na 6.1516 0.2500 20.8873
Na 1.6051 2.3096 20.9504
Na 0.0056 0.0186 11.2596
Na 0.0345 0.0183 0.1135
Na 4.4551 2.5638 18.9403
Na 4.5285 2.6003 7.6279
Na -0.0012 5.1749 3.6893
Na 0.0594 5.1843 15.1302
Hf 4.5002 7.7903 8.0723
Hf 0.0025 -0.0064 19.3627
Hf 4.5126 2.6359 4.1808
Hf 4.4903 2.5790 22.4241
Hf -0.0525 5.1778 0.5240
Hf 0.0030 5.1842 11.8330
Ta -0.0065 0.0025 14.7215
Ta 0.0326 -0.0035 3.3296
Ta 4.4659 2.5910 15.6398
Ta 4.5360 2.5878 10.8793
Ta -0.0327 5.2242 7.1798
Ta -0.0484 5.2418 18.4598
Si -1.9064 7.8172 5.7129
Si 3.1995 5.5641 5.6797
Si -1.3048 2.2505 5.7057
Si 1.3298 2.2679 17.0874
Si 5.7998 5.5272 17.0670
Si 1.8675 7.7888 17.0581
Si 7.1147 2.5912 13.2989
Si 3.1814 0.3715 13.2687
Si 3.1980 4.8319 13.2773
Si 5.8330 4.9377 1.8975
Si 1.8436 2.5970 1.9018
Si -1.3378 2.9169 20.8644
Si -1.3330 7.4671 20.8887
Si 1.3122 7.5008 9.5238
Si -2.6597 5.2025 9.5339
P 5.8807 0.3091 1.9077
P 2.5673 5.1942 20.8623
P 1.3243 2.9436 9.4923
O 1.6693 0.2985 6.9755
O 3.9386 6.2204 6.9503
O 7.9557 1.3035 6.9672
O 1.0786 1.3886 18.4335
O 5.1699 6.1522 18.4200
O 7.2780 0.2690 18.3935
O 2.8508 7.5925 15.7494
O 0.5655 1.5102 15.8304
O -3.5239 6.4775 15.7704
O 3.4375 6.5672 4.3961
O -0.5702 1.5453 4.4091
O -2.8909 7.5183 4.4132
O 6.1643 2.8060 14.6233
O 3.8971 1.0916 14.5634
O 3.5494 3.9013 14.5837
O 5.5710 4.0249 3.2218
O 5.2574 0.9700 3.1574
O 2.7720 2.7712 3.2296
O 2.7608 2.3496 0.5441
O 5.1930 4.2535 0.5370
O 5.6169 1.1878 0.6309
O 3.4872 1.3270 11.9883
O 3.9482 4.1276 12.0084
O 6.1104 2.3146 12.0226
O 1.6962 5.4599 22.0962
O -0.5839 3.6087 22.1135
O -1.0661 6.4940 22.1365
O 1.0206 6.6034 10.8455
O 0.7014 3.6282 10.7147
O -1.7323 5.3671 10.8538
O -1.6563 4.9801 8.1917
O 0.6432 6.7256 8.1839
O 1.0344 3.8326 8.2098
O -1.0290 3.8774 19.5363
O -0.6182 6.7043 19.5812
O 1.6443 4.9674 19.6182
O -3.5657 6.5233 9.3780
O 2.9048 7.6880 9.3689
O 0.6928 1.5595 9.3413
O -0.6929 1.4120 20.7486
O -2.9595 7.6022 20.7453
O 3.4826 6.4366 20.6966
O 7.9914 1.2021 13.4654
O 1.5585 0.1614 13.4833
O 3.9263 6.3194 13.4733
O 5.0965 6.3987 2.0617
O 7.4145 0.2103 2.0540
O 0.9066 1.2498 2.0763
O 5.4910 1.3241 16.8723
O 2.9312 2.4301 16.8902
O 5.2326 4.0033 16.8909
O 3.8368 4.0620 5.5403
O 6.1282 2.4531 5.5331
O 3.6246 1.2528 5.5282
O 3.4561 3.9229 20.9675
O 6.0704 2.8008 20.9565
O 3.8841 1.1284 20.9493
O 5.0662 1.1370 9.6402
O 2.8624 2.8505 9.6332
O 5.4679 3.8411 9.6507
O 0.9499 3.9398 1.7794
O -1.6006 5.1044 1.7924
O 0.7304 6.7512 1.7344
O -0.6603 6.7074 13.1856
O 1.6029 5.0862 13.2103
O -1.0389 3.9290 13.1981
O -0.9734 6.4405 5.8654
O 1.5573 5.3997 5.8696
O -0.5906 3.7453 5.8676
O 0.5685 3.7182 17.2522
O -1.5985 5.3337 17.2374
O 0.9418 6.4498 17.2424
CELL_PARAMETERS angstrom
9.0448 0.0055 -0.0107
-4.5177 7.8236 -0.0045
-0.0274 -0.0291 22.7894
=====
_Outcome_
! Na5Hf2Ta2Si5PO24 (PBE, relaxed); values from VASP
! - Formation energy from the elements: -3169 meV per atom
! - Symmetry: P1 (1)
! - Raw total energy: -7.91 eV per atom
&SYSTEM
  ibrav = 0, nat = 117, ntyp = 6
/
ATOMIC_SPECIES
Na 22.99 Na.upf
Hf 178.49 Hf.upf
Ta 180.95 Ta.upf
Si 28.09 Si.upf
P 30.97 P.upf
O 16.00 O.upf
ATOMIC_POSITIONS angstrom
Na 5.7670 0.0335 5.6998
Na 1.6652 2.8188 5.6678
Na 6.1290 4.9524 5.6672
Na 7.3642 2.8178 17.0703
Na -2.8630 5.4532 13.2250
Na 1.6175 7.5269 13.2232
Na 5.7423 5.2018 20.9304
Na 6.1516 0.2500 20.8873
Na 1.6051 2.3096 20.9504
Na 0.0056 0.0186 11.2596
Na 0.0345 0.0183 0.1135
Na 4.4551 2.5638 18.9403
Na 4.5285 2.6003 7.6279
Na -0.0012 5.1749 3.6893
Na 0.0594 5.1843 15.1302
Hf 4.5002 7.7903 8.0723
Hf 0.0025 -0.0064 19.3627
Hf 4.5126 2.6359 4.1808
Hf 4.4903 2.5790 22.4241
Hf -0.0525 5.1778 0.5240
Hf 0.0030 5.1842 11.8330
Ta -0.0065 0.0025 14.7215
Ta 0.0326 -0.0035 3.3296
Ta 4.4659 2.5910 15.6398
Ta 4.5360 2.5878 10.8793
Ta -0.0327 5.2242 7.1798
Ta -0.0484 5.2418 18.4598
Si -1.9064 7.8172 5.7129
Si 3.1995 5.5641 5.6797
Si -1.3048 2.2505 5.7057
Si 1.3298 2.2679 17.0874
Si 5.7998 5.5272 17.0670
Si 1.8675 7.7888 17.0581
Si 7.1147 2.5912 13.2989
Si 3.1814 0.3715 13.2687
Si 3.1980 4.8319 13.2773
Si 5.8330 4.9377 1.8975
Si 1.8436 2.5970 1.9018
Si -1.3378 2.9169 20.8644
Si -1.3330 7.4671 20.8887
Si 1.3122 7.5008 9.5238
Si -2.6597 5.2025 9.5339
P 5.8807 0.3091 1.9077
P 2.5673 5.1942 20.8623
P 1.3243 2.9436 9.4923
O 1.6693 0.2985 6.9755
O 3.9386 6.2204 6.9503
O 7.9557 1.3035 6.9672
O 1.0786 1.3886 18.4335
O 5.1699 6.1522 18.4200
O 7.2780 0.2690 18.3935
O 2.8508 7.5925 15.7494
O 0.5655 1.5102 15.8304
O -3.5239 6.4775 15.7704
O 3.4375 6.5672 4.3961
O -0.5702 1.5453 4.4091
O -2.8909 7.5183 4.4132
O 6.1643 2.8060 14.6233
O 3.8971 1.0916 14.5634
O 3.5494 3.9013 14.5837
O 5.5710 4.0249 3.2218
O 5.2574 0.9700 3.1574
O 2.7720 2.7712 3.2296
O 2.7608 2.3496 0.5441
O 5.1930 4.2535 0.5370
O 5.6169 1.1878 0.6309
O 3.4872 1.3270 11.9883
O 3.9482 4.1276 12.0084
O 6.1104 2.3146 12.0226
O 1.6962 5.4599 22.0962
O -0.5839 3.6087 22.1135
O -1.0661 6.4940 22.1365
O 1.0206 6.6034 10.8455
O 0.7014 3.6282 10.7147
O -1.7323 5.3671 10.8538
O -1.6563 4.9801 8.1917
O 0.6432 6.7256 8.1839
O 1.0344 3.8326 8.2098
O -1.0290 3.8774 19.5363